To do:
The reader should return only the lines further below with the word "in" in them.
Listing:
<<<
The following is a quantum chemistry calculation of a 5-piece molecular cluster, C26H49Br3N5O8P overall at a distorted geometry, from OMol25.

The geometry in XYZ format:
```
92
Properties=species:S:1:pos:R:3:forces:R:3:lowdin_charge:R:1
C 2.895900 3.765050 -3.552636 0.9789 0.4069 -0.2269 -0.119
C 3.331971 2.279872 -3.988809 -0.3661 0.4043 0.3557 -0.246
C 2.390419 1.115848 -3.344211 2.0910 0.9787 -1.8344 -0.664
Br 3.240670 0.617933 -1.614166 -0.5589 0.0959 -0.6170 0.808
O 1.059153 1.681946 -3.232082 -1.3348 -2.2080 1.5725 -0.307
P -0.072510 0.593792 -2.581271 0.6195 -4.6540 -0.1834 0.658
O 0.434590 -0.868547 -2.570216 -1.3311 4.6140 -0.0983 -0.296
O -0.739085 1.056749 -1.096827 2.0938 0.1564 -3.0824 -0.224
C 0.206207 1.731314 -0.221413 0.8016 1.1873 2.5089 -0.262
C 0.843909 0.784640 0.919865 -0.8448 0.4629 0.5918 -0.181
C 1.788446 1.666576 1.917928 -0.0361 0.3242 -0.6811 -0.169
C 3.291035 1.107649 2.020742 -0.2751 0.8200 1.2283 -0.187
N 3.396587 -0.369710 2.164489 1.2604 -1.4556 -1.4234 -0.188
C 2.697539 -1.295020 3.026555 3.0603 -3.0743 -2.5470 -0.061
C 3.281588 -2.687878 2.669376 0.7815 2.7886 -1.2211 -0.067
C 4.359163 -2.519234 1.546801 -2.6673 4.2807 2.1136 -0.061
C 4.369782 -0.997605 1.287870 -1.1345 -4.7016 1.9240 -0.119
O -1.401529 0.580761 -3.701140 0.2527 3.5438 2.8639 -0.195
C -2.276669 1.696369 -3.397594 -3.8366 -0.1070 0.1650 -0.666
Br -1.615056 3.575477 -3.243844 0.0818 -2.1557 -0.3639 0.758
C -3.685806 1.527749 -3.211142 2.8655 -0.6856 -0.4740 -0.631
C -4.413619 0.108251 -3.315296 -0.1283 1.3753 0.4964 -0.119
Br -4.886537 3.086552 -2.823312 1.2268 -1.6924 -0.4756 0.609
H 2.279729 3.822724 -2.594104 0.6692 -0.1994 -1.4740 0.069
H 3.860558 4.368297 -3.345770 -1.5472 -0.9146 -0.3366 0.081
H 2.387062 4.289074 -4.434968 0.3996 -0.7441 1.5301 0.079
H 3.261773 2.195390 -5.123124 0.1085 -0.0357 1.5251 0.101
H 4.434667 2.152362 -3.678697 -1.9364 -0.2947 -0.5412 0.102
H 2.463538 0.210600 -4.040051 -0.4811 1.1264 1.3801 0.085
H -0.403412 2.531295 0.352986 0.8320 -1.2623 -1.0984 0.141
H 1.042524 2.299763 -0.748003 -1.2119 -0.9468 0.2635 0.088
H -0.050534 0.440615 1.565429 1.4272 0.2022 -1.1622 0.118
H 1.392597 -0.128559 0.512303 -0.7954 1.3383 0.4662 0.088
H 1.282249 1.793960 2.950433 0.9670 -0.4966 -1.6296 0.113
H 1.882631 2.748786 1.512778 -0.1384 -1.6695 0.5631 0.115
H 3.917936 1.425120 1.108055 -1.1461 -0.6119 1.4647 0.090
H 3.775623 1.567304 2.966260 -0.7081 -0.4852 -1.5629 0.130
H 1.901302 -1.024074 3.787521 1.3504 -0.1693 -1.3634 0.105
H 3.014357 -3.719051 3.111893 0.2413 2.1039 -0.6956 0.059
H 4.999303 -3.316082 1.037509 -1.1914 1.4313 0.9334 0.084
H 5.071023 -0.516997 0.535446 -1.4313 -0.1117 1.3858 0.086
H -4.744986 -0.025829 -4.397745 0.5045 -0.0829 1.4793 0.090
H -5.352063 0.165492 -2.646247 1.5489 -0.2414 -1.1012 0.075
H -3.713371 -0.710521 -2.941078 -0.9535 1.1204 -0.7316 0.091
C 1.161930 -6.003861 4.412811 0.1839 0.0436 0.4683 -0.340
O 2.017210 -5.774533 3.577673 -0.0443 -0.0132 0.2843 -0.002
N 1.338360 -5.926698 5.761858 -0.3658 -0.1371 -0.7799 -0.200
C 0.269095 -6.215421 6.697380 0.3119 0.1716 0.0760 -0.062
C 2.637830 -5.543231 6.279367 0.1039 0.0343 -0.3028 -0.041
H 0.139776 -6.303059 4.127909 -0.0474 -0.0200 0.0789 0.130
H 0.081524 -5.328446 7.307182 -0.1604 -0.1836 0.1189 0.075
H 0.573800 -7.044322 7.341434 -0.1961 0.0310 0.0738 0.093
H -0.647751 -6.489073 6.172120 0.1325 0.0167 -0.0325 0.081
H 2.897096 -4.552250 5.898129 0.1462 -0.0797 0.0997 0.090
H 3.387151 -6.258781 5.931619 0.0713 0.1457 0.0851 0.094
H 2.626122 -5.525072 7.369771 -0.1149 -0.0260 -0.1349 0.089
C -2.526554 -4.202105 7.254061 -0.4532 -0.0301 -0.0096 -0.357
O -2.025476 -4.197313 8.363072 -0.2559 -0.0683 -0.1345 0.009
N -3.847228 -4.408271 6.986130 0.7608 0.1287 -0.1074 -0.204
C -4.370357 -4.399040 5.634626 -0.0822 -0.0337 0.2559 -0.061
C -4.758876 -4.644549 8.088993 0.2514 0.0351 0.2065 -0.045
H -1.923941 -4.032642 6.346415 -0.0787 -0.0031 -0.0899 0.129
H -5.126303 -3.614256 5.550050 -0.0021 -0.0767 -0.1907 0.089
>>>
Completed:
The geometry in XYZ format: